Excerpt.
/*
No. 1
# C6H10N2

One molecule with the formula C6H10N2 (the ωB97M-V functional and the def2-TZVPD basis, OMol25).

Each line ends with the Löwdin charge.
Cartesian coordinates (Å):
C (-1.82, -0.82, 0.06)  -0.199
C (0.06, 0.74, 1.91)  0.043
C (0.43, 0.09, 0.80)  -0.324
C (1.86, -0.33, 0.58)  -0.061
C (-0.89, 1.04, -1.06)  -0.010
C (-0.52, -0.29, -0.36)  -0.461
N (-2.86, -1.31, 0.17)  0.173
N (0.10, -1.39, -1.30)  0.064
H (-1.00, 1.01, 1.94)  0.073
H (0.68, 0.87, 2.82)  0.084
H (2.27, -0.02, -0.39)  0.077
H (2.50, 0.00, 1.35)  0.055
H (1.99, -1.47, 0.62)  0.113
H (-1.92, 1.22, -1.35)  0.094
H (-0.73, 1.70, -0.23)  0.069
H (-0.28, 1.36, -1.79)  0.045
H (0.84, -0.89, -1.84)  0.074
H (-0.73, -1.51, -1.93)  0.089

Energy above the lowest of the compared OMol25 structures with the same formula, charge and spin (kJ/mol): 103.0
LUMO energy (spin up / spin down) (eV): 0.8 / -2.3
Molar mass (g/mol): 110.16
Net charge: 0
Spin multiplicity: 3

=====

No. 2
# C26H41BrIN6ORe

C26H41BrIN6ORe as an isolated structure (the ωB97M-V functional and the def2-TZVPD basis, OMol25).

Each line ends with the Löwdin charge.
Cartesian coordinates (Å):
Re (-0.40, 0.94, 0.11)  1.540
C (-2.19, -0.64, 2.22)  -0.048
N (-2.39, 0.27, 1.05)  -0.324
C (-3.34, -0.52, 0.22)  -0.047
C (-3.09, 1.52, 1.47)  -0.152
C (-2.12, 2.56, 1.99)  -0.159
N (-1.17, 2.95, 0.91)  -0.352
C (-0.15, 3.89, 1.46)  -0.048
C (-1.95, 3.75, -0.09)  -0.072
H (-3.11, -0.71, 2.80)  0.121
H (-1.40, -0.31, 2.86)  0.043
H (-1.92, -1.63, 1.86)  0.097
H (-4.26, -0.69, 0.79)  0.123
H (-2.90, -1.48, -0.03)  0.089
H (-3.62, 0.00, -0.69)  0.082
H (-3.85, 1.28, 2.22)  0.149
H (-3.61, 1.91, 0.60)  0.121
H (-1.55, 2.22, 2.85)  0.100
H (-2.68, 3.45, 2.31)  0.149
H (-0.66, 4.76, 1.89)  0.119
H (0.51, 4.23, 0.67)  0.061
H (0.44, 3.40, 2.24)  0.077
H (-2.56, 4.49, 0.44)  0.120
H (-2.61, 3.12, -0.68)  0.077
H (-1.27, 4.27, -0.75)  0.024
O (5.38, 1.45, -2.48)  0.176
C (4.19, 1.36, -1.94)  -0.271
C (3.74, 0.28, -1.16)  0.059
C (2.47, 0.34, -0.64)  -0.161
N (1.58, 1.36, -0.82)  -0.130
C (2.03, 2.35, -1.63)  -0.687
Br (0.88, 3.75, -2.13)  0.978
C (3.29, 2.40, -2.18)  -0.010
H (5.95, 0.69, -2.30)  0.156
H (4.36, -0.57, -0.95)  0.144
H (2.12, -0.49, -0.05)  0.097
H (3.58, 3.23, -2.81)  0.136
I (4.52, 1.32, 3.98)  1.020
C (2.56, 1.12, 3.38)  -0.736
C (1.44, 0.93, 4.16)  -0.065
N (0.39, 0.87, 3.33)  -0.002
N (0.73, 1.01, 2.02)  -0.108
C (2.07, 1.18, 2.08)  -0.183
H (1.32, 0.86, 5.22)  0.153
H (-0.56, 0.80, 3.64)  0.122
H (2.66, 1.38, 1.21)  0.091
C (1.33, -3.70, 2.49)  -0.015
C (0.90, -3.43, 1.08)  -0.230
C (0.89, -4.47, 0.13)  0.068
C (0.50, -4.27, -1.19)  -0.213
C (0.53, -5.40, -2.18)  -0.011
C (0.09, -3.01, -1.58)  0.046
C (0.05, -1.95, -0.66)  -0.256
C (0.49, -2.18, 0.67)  -0.027
N (-0.39, -0.67, -0.97)  -0.065
C (-0.94, -0.33, -2.34)  -0.532
C (-2.02, -1.28, -2.88)  -0.003
C (0.24, -0.21, -3.33)  0.009
C (-1.55, 1.05, -2.12)  -0.098
H (0.57, -4.27, 3.02)  0.103
H (1.50, -2.77, 3.04)  0.075
H (2.25, -4.28, 2.52)  0.100
H (1.20, -5.46, 0.44)  0.144
H (0.92, -6.31, -1.74)  0.092
H (1.15, -5.15, -3.04)  0.099
H (-0.48, -5.62, -2.55)  0.101
H (-0.18, -2.86, -2.61)  0.106
H (0.50, -1.37, 1.38)  0.079
H (-1.65, -1.90, -3.70)  0.098
H (-2.85, -0.70, -3.28)  0.108
H (-2.42, -1.95, -2.12)  0.085
H (0.82, -1.13, -3.37)  0.095
H (0.90, 0.61, -3.08)  0.065
H (-0.17, -0.02, -4.32)  0.119
H (-2.52, 1.03, -1.63)  0.055
H (-1.70, 1.58, -3.07)  0.140
H (-0.83, 1.79, -1.65)  -0.009

Energy above the lowest of the compared OMol25 structures with the same formula, charge and spin (kJ/mol): 4.3
LUMO energy (spin up / spin down) (eV): -10.6 / -10.7
Molar mass (g/mol): 846.67
Net charge: +3
Spin multiplicity: 2

=====

No. 3
# C5H7NS

One molecule with the formula C5H7NS (the ωB97M-V functional and the def2-TZVPD basis, OMol25).

Each line ends with the Löwdin charge.
Cartesian coordinates (Å):
C (-0.92, -1.82, 1.52)  0.134
C (-0.49, -1.07, 0.71)  -0.213
C (0.02, 0.00, -0.11)  -0.758
S (0.44, -0.66, -1.76)  0.793
*/

Wanted.
Set down only the lines further above with the word "up" in them.

Completed.
LUMO energy (spin up / spin down) (eV): 0.8 / -2.3
LUMO energy (spin up / spin down) (eV): -10.6 / -10.7